Exercise:
Count the lines further below that contain the word "moment" and give the number alone.

Material:
-- begin --
A relaxed structure of Ba2TlReO6. Source: Alexandria, functional PBE.

Geometry as POSCAR:
```
Ba2TlReO6
1.0
6.4889 0.0067 0.0182
3.2503 5.6003 0.0202
3.2605 1.8791 4.8893
Ba Tl Re O
2 1 1 6
direct
0.5582 0.5574 0.3289
0.0741 0.0748 0.7744
0.8161 0.8161 0.5517
0.3162 0.3162 0.0515
0.4953 0.2108 0.2764
0.2077 0.0172 0.2843
0.0178 0.4976 0.2771
0.4245 0.6152 0.8186
0.6146 0.1349 0.8257
0.1371 0.4214 0.8265
```

## Properties
Raw formation energy: -2.02 eV per atom
Space-group type: P-1
M_tot: 0.00 μB per formula unit
E_tot: -6.856 eV per atom

----------

The following is a DFT calculation (GGA-PBE) of a relaxed structure of Pr6Nd5Er.

extended XYZ file:
```
12
Lattice="3.195 -5.533 0.000 3.195 5.533 0.000 -2.138 0.000 12.011" Properties=species:S:1:pos:R:3 pbc="T T T"
Pr 1.054 1.836 2.983
Pr -0.010 0.000 9.024
Pr 1.054 -1.836 2.983
Pr 3.196 1.836 9.027
Pr 4.261 0.000 2.986
Pr 3.196 -1.836 9.027
Nd 2.125 3.691 6.005
Nd 3.195 1.846 0.000
Nd 2.125 0.000 6.005
Nd 3.195 -1.846 0.000
Nd 2.125 -3.691 6.005
Er 0.000 0.000 0.000
```

Properties
E_tot ... -56.9 eV/cell
Total magnetic moment ... 0.00 μB/atom
E_form ... 13 meV/atom
Space group ... C2/m, No. 12



The following is a DFT calculation (GGA-PBE) of a relaxed structure of Ni2Pt4W.

extended XYZ file:
```
7
Lattice="-2.405 2.405 6.046 2.405 -2.405 6.046 2.405 2.405 -6.046" Properties=species:S:1:pos:R:3 pbc="T T T"
Ni 0.000 0.000 1.184
Ni 0.000 0.000 10.908
Pt 2.405 0.000 0.000
Pt 0.000 0.000 3.620
Pt 0.000 2.405 0.000
Pt 0.000 0.000 8.471
W 0.000 0.000 6.046
```

Properties
Offset from the most stable computed form ... 24.83 kcal/mol of atoms
E_tot ... -41.7 eV/cell
Total magnetic moment ... 0.00 μB/atom
E_form ... 1001 meV/atom
Space group ... I4/mmm, No. 139



The following is a DFT calculation (GGA-PBE) of a relaxed structure of Ni5I3Br12.

extended XYZ file:
```
80
Lattice="-8.382 8.382 8.382 8.382 -8.382 8.382 8.382 8.382 -8.382" Properties=species:S:1:pos:R:3 pbc="T T T"
Ni 0.000 0.000 0.000
Ni 4.191 4.191 -4.191
Ni 4.191 -4.191 4.191
Ni 8.382 0.000 0.000
Ni 12.573 2.096 0.000
Ni 8.382 -4.191 6.287
Ni 6.287 8.382 -4.191
Ni 6.287 0.000 4.191
Ni 4.191 6.287 0.000
Ni 8.382 4.191 2.096
Ni -4.191 4.191 4.191
Ni 0.000 8.382 0.000
Ni 0.000 0.000 8.382
Ni 4.191 4.191 4.191
Ni 0.000 4.191 6.287
Ni 4.191 2.096 8.382
Ni 2.096 8.382 4.191
Ni 2.096 0.000 12.573
Ni 0.000 12.573 2.096
Ni -4.191 6.287 8.382
I 4.191 2.096 0.000
I 8.382 4.191 -2.096
I 2.096 0.000 4.191
I 10.478 0.000 4.191
I 0.000 4.191 2.096
I 4.191 -2.096 8.382
I 4.191 10.478 0.000
I 8.382 4.191 6.287
I -2.096 8.382 4.191
I 6.287 8.382 4.191
I 0.000 4.191 10.478
I 4.191 6.287 8.382
Br 6.693 -4.611 4.704
Br 14.262 0.513 -0.420
Br 10.884 0.513 0.420
Br 10.071 -3.771 4.704
Br 12.153 3.678 -1.689
Br 8.802 -5.880 7.869
Br 4.704 6.693 -4.611
Br 7.869 -0.420 2.502
Br 7.869 8.802 -5.880
Br 4.704 -1.689 4.611
Br 4.611 4.704 -1.689
Br 7.962 2.502 0.513
Br 12.993 3.678 1.689
Br 7.962 -2.502 7.869
Br 7.869 7.962 -2.502
Br 4.704 1.689 3.771
Br 4.704 10.071 -3.771
Br 7.869 0.420 5.880
Br 3.771 4.704 1.689
Br 8.802 5.880 0.513
Br 2.502 7.869 -0.420
Br 10.071 3.771 3.678
Br 5.880 7.869 0.420
Br 6.693 4.611 3.678
Br 1.689 3.771 4.704
Br 2.502 0.513 7.962
Br -1.689 4.611 4.704
Br 5.880 0.513 8.802
Br -0.420 2.502 7.869
Br 4.611 3.678 6.693
Br 0.513 7.962 2.502
Br 3.678 -1.689 12.153
Br 3.678 6.693 4.611
Br 0.513 0.420 10.884
Br 0.420 10.884 0.513
Br -4.611 4.704 6.693
Br 0.420 5.880 7.869
Br 3.771 3.678 10.071
Br 3.678 10.071 3.771
Br 0.513 -0.420 14.262
Br 0.513 8.802 5.880
Br 3.678 1.689 12.993
Br -0.420 14.262 0.513
Br -3.771 4.704 10.071
Br -1.689 12.153 3.678
Br -2.502 7.869 7.962
Br -5.880 7.869 8.802
Br 1.689 12.993 3.678
```

Properties
E_tot ... -212.6 eV/cell
Total magnetic moment ... 0.05 μB/atom
Space group ... Ia-3d, No. 230
Raw formation energy ... 0.024 eV per atom



The following is a DFT calculation (GGA-PBE) of a relaxed structure of Be2GeBr.

extended XYZ file:
```
8
-- stop --

Response:
3